2010 was packed with interesting, exciting and breakthrough events and discoveries. We asked you to vote on the top 10 stories of the year, and below are the results. Some of you asked how we chose the 17 news stories to pick from and perhaps thought we missed out on some rather important astronomical discoveries of the year. The stories to vote on were chosen based on the “most viewed” articles in 2010 from our Google Analytics, and some were single articles, while some were a combination of articles on the same topic (for example, there was lots of exoplanet news this year). The survey was done with “Survey Monkey,” which worked out great. Thanks to everyone for the kind comments on the survey, which ranged from “Keep up the great work” to” Love Ya!! Such a fantastic articles, keep going!!” to “I want more cosmology on UT.”

We’ll continue to do our best to provide great coverage on everything space and astronomy-related in the years to come, and, yes we hope to expand in different areas, too. Thanks to all our readers for your continued support and comments! Also, thanks to our excellent staff of writers who contributed news articles this past year: Tammy Plotner, Nicholos Wethington, Jon Voisey, Mark Thompson, Mike Simonsen, Steve Nerlich, Jason Rhian, Jean Tate, Ken Kremer, Mark Mortimer, Darnell Clayton, Ryan Anderson, and the Spacevidcast crew.

And now, without further ado, the Top 10 Stories of 2010, as chosen by our readers:

10. Bacteria Found that can Live on Arsenic

Despite the pre-announcement hype, NASA did not find life on another planet, but found life here on Earth that can live and grow almost entirely on a poison, arsenic, and incorporates it into its DNA. This announcement was soon met with opposition — not only for the science, but for how the hype got completely out of hand.

9. Solar Dynamics Observatory gives us a New View of the Sun

Large eruptive prominence on the sun’s edge, as seen by SDO. Credit: NASA

The Solar Dynamics Observatory launched in February of this year, and has been sending back a non-stop stream of data and images of the Sun like we’ve never seen before. SDO showed us almost up-to-the-minute views of a looping solar prominence, and have provided solar physicists with new details in helping them to understand the Sun.

Here are just a few articles we posted about SDO:

SDO Soars To Study the Sun
SDO Wows with First Light Images
Near Synchronous Explosions Connect Across Vast Distances on the Sun

8. Enceladus and the Tiger Stripe Jets

2010 was the year we learned more about the geysers on Enceladus, and the Cassini spacecraft sent back more astonishing images of the geysers and the “tiger stripe” regions from which the geysers emanate. One new study even suggested that an exotic form of warm, bubbly mineral water could be what feeds the mysterious jets.

Warm Perrier Ocean Could be Powering Enceladus Geysers

Enceladus the Jet Powered Moon

7. Hayabusa Returns To Earth with Samples of Asteroid

The recovery team handles the heat sheild for the Hayabusa sample return capsule. Credit: JAXA, Hayabusa Twitter feed.

Japan’s little spacecraft that could returned to Earth this summer, making a fiery reentry in the Australian outback, overcoming several problems and obstacles. Later, scientists opened the sample return container revealing small particles which are likely from asteroid Itokawa.

6. Faster Than Light Pulsars Discovered

Artist’s impression of an anomalous X-ray pulsar. Credit: ESA

Observational data from nine pulsars, including the Crab pulsar, suggest these rapidly spinning neutron stars emit the electromagnetic equivalent of a sonic boom, and a model created to understand this phenomenon shows that the source of the emissions could be traveling faster than the speed of light. Researchers say as the polarization currents in these emissions are whipped around with a mechanism likened to a synchrotron, the sources could be traveling up to six times light speed, or 1.8 million km per second. However, although the source of the radiation exceeds the speed of light, the emitted radiation travels at normal light speed once it leaves the source. “This is not science fiction, and no laws of physics were broken in this model,” said John Singleton of Los Alamos National Laboratory at a press briefing at the American Astronomical Society meeting in Washington, DC. “And Einstein’s theory of Special Relativity is not violated.”

5. SpaceX Makes Great Strides in Commercial Space Endeavours.

SpaceX successfully launched its Falcon 9 rocket. Credit: Alan Walters (awaltersphot.com) for Universe Today.

SpaceX’s launch of the Falcon 9 and Dragon capsule leads the way for commercial companies to bring cargo and crew the International Space Station, providing new access to space that may one day lead to a cheaper way for the general public to be involved in space travel.

One commenter said, “SpaceX has the opportunity to totally alter mankind’s access to space. I didn’t think they could do it, but they have.” Another said, “The potential of human space flight is the most important to me.”

4. More Mysteries of Titan Revealed

**Misplaced calculated crystals:**
'''
1.
# Gd2CoCuN2
Calculated powder diffractogram, CuKα. Input: a structure optimized by DFT (GGA-PBE).

The 12 most intense peaks (10° ≤ 2θ ≤ 90°), in order of falling intensity:
Position (°2θ)	d_spacing	I/Imax
35.9	2.502	100
34.8	2.574	95
36.9	2.433	92
62.5	1.487	39
64.6	1.444	35
66.6	1.405	29
44.4	2.042	24
48.5	1.878	23
23.7	3.757	23
25.2	3.535	20
51.7	1.767	19
54.7	1.677	16

Unit cell a=3.5348 b=3.7568 c=6.7068 alpha=90.00 beta=90.00 gamma=90.00
Space group Pmmm (No. 47)
Symmetry-distinct sites (fractional):
Gd 0.0000 0.0000 0.2481 [2 per cell]
Co 0.5000 0.5000 0.0000 [1 per cell]
Cu 0.5000 0.5000 0.5000 [1 per cell]
N 0.0000 0.5000 0.0000 [1 per cell]
N 0.5000 0.0000 0.5000 [1 per cell]

2.
# ZrPO4
Calculated powder diffractogram, CuKα. Input: a structure optimized by DFT (GGA-PBE).

The 12 most intense peaks (10° ≤ 2θ ≤ 90°), in order of falling intensity:
Position (°2θ)	d_spacing	I/Imax
24.6	3.615	100
17.1	5.181	29
34.6	2.591	19
50.0	1.826	17
47.1	1.928	16
19.3	4.609	12
59.8	1.547	10
66.3	1.411	9
34.9	2.573	9
47.3	1.922	8
39.7	2.268	7
29.9	2.991	7

Unit cell a=5.9828 b=5.9828 c=10.0900 alpha=90.00 beta=90.00 gamma=120.00
Space group P6_422 (No. 181)
Symmetry-distinct sites (fractional):
Zr 0.0000 0.5000 0.3333 [3 per cell]
P 0.0000 0.5000 0.8333 [3 per cell]
O 0.1565 0.4240 0.7425 [12 per cell]

3.
# SrIn3Cu3
Calculated powder diffractogram, CuKα. Input: a structure optimized by DFT (GGA-PBE).

The 12 most intense peaks (10° ≤ 2θ ≤ 90°), in order of falling intensity:
Position (°2θ)	d_spacing	I/Imax
32.8	2.730	100
41.3	2.186	46
39.0	2.312	33
41.1	2.198	32
44.3	2.045	31
32.9	2.719	29
28.9	3.090	25
59.7	1.549	22
89.6	1.094	18
31.2	2.866	18
37.1	2.423	17
53.8	1.704	15

Unit cell a=4.3737 b=7.6263 c=8.7317 alpha=90.00 beta=90.00 gamma=90.00
Space group Pmmn (No. 59, origin choice 2)
Symmetry-distinct sites (fractional):
Sr 0.2500 0.2500 0.2310 [2 per cell]
In 0.2500 0.0532 0.6224 [4 per cell]
In 0.2500 0.7500 0.1291 [2 per cell]
Cu 0.2500 0.0251 0.9275 [4 per cell]
Cu 0.2500 0.7500 0.4551 [2 per cell]

4.
# Zn2ReO4
Calculated powder diffractogram, CuKα. Input: a structure optimized by DFT (GGA-PBE).

The 12 most intense peaks (10° ≤ 2θ ≤ 90°), in order of falling intensity:
Position (°2θ)	d_spacing	I/Imax
34.5	2.602	100
29.3	3.051	64
55.3	1.661	36
60.7	1.525	34
51.9	1.761	27
86.7	1.123	21
83.9	1.153	14
17.8	4.982	12
71.7	1.316	12
68.8	1.364	11
45.8	1.980	5
36.1	2.491	4

Unit cell a=8.6290 b=8.6290 c=8.6290 alpha=90.00 beta=90.00 gamma=90.00
Space group Fd-3m (No. 227, origin choice 2)
Symmetry-distinct sites (fractional):
Zn 0.0000 0.0000 0.0000 [16 per cell]
Re 0.1250 0.1250 0.6250 [8 per cell]
O 0.0052 0.0052 0.2448 [32 per cell]

5.
# CdGeAu2
Calculated powder diffractogram, CuKα. Input: a structure optimized by DFT (GGA-PBE).

The 10 most intense peaks (10° ≤ 2θ ≤ 90°), in order of falling intensity:
Position (°2θ)	d_spacing	I/Imax
37.5	2.396	100
67.7	1.383	35
54.1	1.694	17
22.7	3.913	15
80.1	1.198	11
44.3	2.043	8
59.4	1.555	4
84.6	1.146	3
'''

Crescent Titan. Credit: NASA/JPL/Space Science Institute

2010 was the year we learned more about Titan, as the Cassini spacecraft continues to send back more incredible images and data of Saturn’s largest Moon. Scientists were able to discern more about the weather on Titan, and they also saw clouds in the Moon’s atmosphere, plus one researcher found that Titan’s atmosphere could produce the building blocks of life, while another group found evidence of cryovolcanoes on Titan.

3. The Discovery (or not) of Exoplanet Gliese 581g

Artists impression of Gliese 581g. Credit: Lynette Cook/NSF

-- Misplaced data records --
=====
Simulated powder diffraction line list of K5MgSb2 for a wavelength of 1.5418 Å, from a crystal structure in Alexandria, relaxed with GGA-PBE.
Lines closer than 0.1° are merged.

Cell and atoms:
Cell lengths 10.588, 10.588, 10.588 Å; angles 33.86, 33.86, 33.86 degrees
Element x y z (fractional)
K: 0.000 0.000 0.000
K: 0.123 0.123 0.123
K: 0.280 0.280 0.280
K: 0.720 0.720 0.720
K: 0.877 0.877 0.877
Mg: 0.500 0.500 0.500
Sb: 0.406 0.406 0.406
Sb: 0.594 0.594 0.594

Largest 12 diffraction maxima, in order of rising 2θ, 2θ from 10° to 90°:
Position (°2θ), I/Imax
16.87, 32.2
17.79, 18.9
26.72, 45.0
28.96, 100.0
34.19, 24.5
34.36, 28.6
39.83, 21.4
45.52, 16.0
51.33, 18.5
54.80, 17.2
54.89, 19.7
71.02, 16.4



Simulated powder diffraction line list of KMg3Sb for a wavelength of 1.5418 Å, from a crystal structure in Alexandria, relaxed with GGA-PBE.
Lines closer than 0.1° are merged.

Cell and atoms:
Cell lengths 5.750, 5.750, 5.750 Å; angles 90.00, 90.00, 90.00 degrees
Element x y z (fractional)
K: 0.000 0.000 0.000
Mg: 0.000 0.500 0.500
Mg: 0.500 0.000 0.500
Mg: 0.500 0.500 0.000
Sb: 0.500 0.500 0.500

Largest 12 diffraction maxima, in order of rising 2θ, 2θ from 10° to 90°:
Position (°2θ), I/Imax
15.41, 66.3
21.86, 100.0
31.11, 62.9
34.89, 36.2
38.34, 45.2
44.57, 44.9
47.43, 19.4
50.17, 20.1
55.35, 15.3
60.22, 22.7
73.68, 18.8
82.12, 13.9



Simulated powder diffraction line list of K4MgSc for a wavelength of 1.5418 Å, from a crystal structure in Alexandria, relaxed with GGA-PBE.
Lines closer than 0.1° are merged.

Cell and atoms:
Cell lengths 7.469, 7.469, 7.469 Å; angles 60.00, 60.00, 60.00 degrees
Element x y z (fractional)
K: 0.125 0.125 0.125
K: 0.125 0.125 0.625
K: 0.125 0.625 0.125
K: 0.625 0.125 0.125
Mg: 0.750 0.750 0.750
Sc: 0.500 0.500 0.500

Largest 12 diffraction maxima, in order of rising 2θ, 2θ from 10° to 90°:
Position (°2θ), I/Imax
14.52, 11.7
23.83, 21.7
28.02, 100.0
29.29, 45.7
33.95, 7.0
41.90, 8.9
44.57, 33.3
48.77, 29.0
57.19, 11.0
57.91, 15.8
68.20, 18.4
78.41, 9.3



Simulated powder diffraction line list of KMgSiTe4 for a wavelength of 1.5418 Å, from a crystal structure in Alexandria, relaxed with GGA-PBE.
Lines closer than 0.1° are merged.

Cell and atoms:
Cell lengths 7.157, 7.180, 10.641 Å; angles 90.00, 106.34, 90.00 degrees
Element x y z (fractional)
K: 0.201 0.250 0.042
K: 0.799 0.750 0.958
Mg: 0.282 0.250 0.672
Mg: 0.718 0.750 0.328
Si: 0.222 0.750 0.304
Si: 0.778 0.250 0.696
Te: 0.016 0.516 0.718
Te: 0.016 0.984 0.718
Te: 0.373 0.750 0.116
Te: 0.493 0.250 0.485
Te: 0.507 0.750 0.515
Te: 0.627 0.250 0.884
Te: 0.984 0.016 0.282
Te: 0.984 0.484 0.282

Largest 12 diffraction maxima, in order of rising 2θ, 2θ from 10° to 90°:
Position (°2θ), I/Imax
18.51, 37.3
24.48, 80.2
24.92, 30.0
25.74, 58.9
25.95, 24.2
28.05, 100.0
28.27, 24.2
30.44, 53.6
40.39, 40.8
43.68, 36.8
44.37, 20.2
50.87, 19.7
=====

In September, astronomer Steven Vogt and his team announced what they claimed was the closest Earth-sized planet found so far that also exists in the habitable zone around its star. The planet, During a press conference, Vogt was quoted as saying, “Personally, given the ubiquity and propensity of life to flourish wherever it can, I would say, my own personal feeling is that the chances of life on this planet are 100 percent. I have almost no doubt about it.” Although the announcement created a lot of excitement, almost immediately after the announcement, another group of planet hunters said they could not find evidence of the planet in their data. Only further review will say for sure if Gliese 581g is there or not, but one thing is certain: the Gliese system is the most interesting planetary system we’ve found yet.

These crystal structures were left in the page by mistake
____________
Structure and computed X-ray powder pattern of CeFe2SbO6 (DFT lattice parameters and positions (PBE+U); CuKα).

Atomic structure:
a b c (Å): 5.6036 5.6681 9.7894
angles (deg): 90.00 124.53 90.00
Sites, in units of the cell vectors:
Ce1 0.0000 0.0000 0.0000
Ce2 0.0000 0.5000 0.5000
Fe1 0.2367 0.0223 0.7235
Fe2 0.2367 0.4777 0.2235
Fe3 0.7633 0.5223 0.7765
Fe4 0.7633 0.9777 0.2765
Sb1 0.5000 0.0000 0.5000
Sb2 0.5000 0.5000 0.0000
O1 0.1468 0.1499 0.4646
O2 0.1468 0.3501 0.9646
O3 0.2465 0.7052 0.3921
O4 0.2465 0.7948 0.8921
O5 0.4075 0.1271 0.2780
O6 0.4075 0.3729 0.7780
O7 0.5925 0.6271 0.2220
O8 0.5925 0.8729 0.7220
O9 0.7535 0.2052 0.1079
O10 0.7535 0.2948 0.6079
O11 0.8532 0.6499 0.0354
O12 0.8532 0.8501 0.5354

Peak list (8 most intense, 10° ≤ 2θ ≤ 90°, by angle)
- (1 1 -1), 22.31°, d 3.985, I = 27
- (1 1 1), 31.51°, d 2.839, I = 100
- (1 1 -3), 31.64°, d 2.828, I = 62
- (2 0 -2), 31.94°, d 2.802, I = 31
- (2 2 -2), 45.53°, d 1.992, I = 29
- (0 2 4), 55.98°, d 1.643, I = 20
- (1 3 -3), 56.22°, d 1.636, I = 31
- (3 1 -1), 56.54°, d 1.628, I = 17

~~~~~

Entry 1:
Simulated powder X-ray diffraction pattern of Mg9Sn5 for Cu Kα (λ = 1.5418 Å), from a DFT-relaxed cell (PBE, the Materials Project).
Lines closer than 0.1° are merged.

The 12 most intense peaks (2θ = 10–90°), sorted by position:
- d = 3.840 Å, I = 100
- d = 3.713 Å, I = 44
- d = 3.223 Å, I = 14
- d = 2.669 Å, I = 48
- d = 2.658 Å, I = 17
- d = 2.314 Å, I = 14
- d = 2.217 Å, I = 44
- d = 2.192 Å, I = 44
- d = 2.121 Å, I = 11
- d = 1.920 Å, I = 17
- d = 1.451 Å, I = 20
- d = 1.444 Å, I = 18

Atomic structure:
Cell lengths 8.8884, 8.8884, 8.8884 Å; angles 96.88, 96.88, 96.88 degrees
Fractional positions:
Mg 0.0193 0.3921 0.0891
Mg 0.0728 0.1647 0.7618
Mg 0.0744 0.7624 0.6697
Mg 0.0891 0.0193 0.3921
Mg 0.0932 0.4115 0.4952
Mg 0.1647 0.7618 0.0728
Mg 0.3406 0.7405 0.4232
Mg 0.3920 0.0891 0.0193
Mg 0.4115 0.4952 0.0932
Mg 0.4232 0.3406 0.7405
Mg 0.4441 0.7473 0.8167
Mg 0.4952 0.0932 0.4115
Mg 0.6697 0.0744 0.7624
Mg 0.7405 0.4232 0.3406
Mg 0.7473 0.8167 0.4441
Mg 0.7618 0.0728 0.1647
Mg 0.7624 0.6697 0.0744
Mg 0.8167 0.4441 0.7473
Sn 0.0059 0.6674 0.3301
Sn 0.0513 0.0513 0.0513
Sn 0.1675 0.5055 0.8295
Sn 0.2874 0.2874 0.2874
Sn 0.3301 0.0059 0.6674
Sn 0.5055 0.8295 0.1675
Sn 0.5516 0.5516 0.5516
Sn 0.6674 0.3301 0.0059
Sn 0.7878 0.7878 0.7878
Sn 0.8295 0.1675 0.5055

Entry 2:
Simulated powder X-ray diffraction pattern of TbErO3 for Cu Kα (λ = 1.5418 Å), from a DFT-relaxed cell (PBE, the Materials Project).
Lines closer than 0.1° are merged.

The 9 most intense peaks (2θ = 10–90°), sorted by position:
- d = 4.250 Å, I = 1
- d = 3.005 Å, I = 100
- d = 2.454 Å, I = 1
- d = 2.125 Å, I = 28
- d = 1.735 Å, I = 42
- d = 1.503 Å, I = 18
- d = 1.344 Å, I = 18
- d = 1.227 Å, I = 6
- d = 1.136 Å, I = 22

Atomic structure:
Cell lengths 4.2498, 4.2498, 4.2498 Å; angles 90.00, 90.00, 90.00 degrees
Fractional positions:
Tb 0.0000 0.0000 0.0000
Er 0.5000 0.5000 0.5000
O 0.0000 0.5000 0.5000
____________

2. Exoplanets Galore!

A gallery of six exoplanets that have retrograde orbits (artist concepts). ESO/A. C. Cameron

2010 saw a plethora of new exoplanet discoveries, including the first four-planet system that was imaged, the Kepler mission which found 750 exoplanet candidates, the observation of the atmosphere of aso-called “Super-Earth“, and the discovery of what astronomers think is the “youngest” exoplanet.

One commenter said, “Exoplanet science and discovery has the potential to alter our fundamental views not only of the universe but our place within it. It will affect all of mankind one day.”

Jon Voisey has written several articles on extra solar planets recently. You can read all about them under the category of of “Exoplanet.”

And the #1 story of 2010:

1. Radar Images Reveal Tons of Water Likely at the Lunar Poles

Craters at the north pole of the Moon. Red mean fresh craters and green means anomalous craters. Credit: NASA

The Mini-SAR radar instrument on the Chandrayaan-1 spacecraft and the Mini-RF instrument on the Lunar Reconnaissance Orbiter are revealing there are likely massive amounts of water in the permanently shadowed craters at the poles, with over 600 million metric tons at the north pole alone. “If that was turned into rocket fuel, it would be enough to launch the equivalent of one Space Shuttle per day for over 2,000 years,” said Paul Spudis, principal investigator for the Mini-SAR. He said the ice would have to be several meters thick to give this signature they are seeing.

This has huge implications for future human and robotic exploration of the Moon.

Thanks again for voting! Here’s a bar graph of the votes:

Chart from Survey Monkey showing the votes of top articles on Universe Today.
